• Given:
Entry 1:
Below is C50H51N6O2P2PdS5 as an isolated structure, with properties calculated with wB97M-V/def2-TZVPD.

Geometry as XYZ:
```
117
Properties=species:S:1:pos:R:3:forces:R:3:lowdin_spin:R:1
Pd -0.818 0.209 0.050 0.848 0.205 -1.051 1.05
C 8.150 2.531 1.999 -0.109 0.325 0.117 0.09
S 6.500 3.189 1.814 0.115 -0.459 -0.287 0.74
C 5.733 2.035 0.646 0.113 0.005 0.285 0.07
C 4.376 1.531 1.163 -0.118 0.056 0.068 0.03
C 3.629 0.829 0.017 0.109 0.132 0.205 0.01
N 2.204 0.605 0.293 -0.127 -0.241 -0.373 0.05
P 1.469 -1.004 0.148 0.027 0.318 1.503 0.22
C 2.827 -2.212 -0.062 -0.280 0.168 -0.539 0.07
C 3.129 -2.616 -1.365 0.071 0.087 0.013 0.01
C 4.060 -3.618 -1.586 0.024 -0.039 -0.081 0.00
C 4.692 -4.225 -0.509 0.002 0.021 0.028 0.01
C 4.393 -3.827 0.787 0.033 0.000 0.027 0.00
C 3.454 -2.833 1.018 0.031 -0.007 -0.021 0.01
C 0.967 -1.444 1.878 -0.117 -0.275 -0.258 0.01
C 1.686 -0.918 2.951 -0.193 0.004 -0.058 0.00
C 1.269 -1.066 4.262 0.036 0.001 0.061 0.00
C 0.069 -1.701 4.533 -0.013 0.058 0.079 0.00
C -0.629 -2.294 3.498 -0.082 -0.064 -0.167 0.00
C -0.151 -2.231 2.198 0.324 0.259 0.343 0.03
P 0.969 1.625 -0.421 0.268 0.853 0.186 0.10
C 1.590 1.973 -2.081 -0.003 -0.092 -0.022 0.01
C 1.427 3.235 -2.651 0.065 -0.148 0.045 0.01
C 1.811 3.448 -3.968 0.007 0.020 -0.062 0.00
C 2.337 2.410 -4.721 -0.017 0.038 -0.014 0.01
C 2.492 1.147 -4.159 0.030 -0.108 0.025 0.00
C 2.117 0.929 -2.847 0.026 0.148 0.128 0.01
C 0.788 3.289 0.296 -0.046 -0.318 0.016 0.02
C -0.533 3.675 0.540 0.238 -0.076 0.083 0.00
C -0.811 4.936 1.044 0.011 0.086 -0.009 0.00
C 0.226 5.824 1.292 -0.130 -0.009 -0.010 0.00
C 1.536 5.465 1.002 0.130 0.023 0.018 0.00
C 1.817 4.207 0.497 0.062 -0.072 0.066 0.00
H 8.703 3.211 2.645 -0.012 -0.020 0.011 0.00
H 8.628 2.465 1.019 -0.061 -0.052 -0.045 0.02
H 8.081 1.541 2.457 -0.024 -0.038 -0.046 0.02
H 6.436 1.221 0.474 0.029 0.028 -0.080 0.00
H 5.602 2.595 -0.287 0.049 0.097 0.023 0.02
H 3.778 2.370 1.530 0.003 -0.024 -0.011 0.00
H 4.540 0.841 1.994 -0.047 0.044 0.041 0.00
H 4.106 -0.132 -0.182 0.024 0.032 -0.067 0.00
H 3.729 1.438 -0.887 -0.024 -0.050 -0.015 0.00
H 2.620 -2.155 -2.203 0.013 -0.085 -0.021 0.00
H 4.283 -3.941 -2.595 -0.006 0.031 -0.002 0.00
H 5.410 -5.015 -0.681 0.003 0.003 0.008 0.00
H 4.882 -4.300 1.629 -0.004 -0.030 -0.021 0.00
H 3.206 -2.564 2.035 0.040 -0.061 -0.042 0.00
H 2.595 -0.372 2.738 0.016 0.087 0.018 0.00
H 1.866 -0.671 5.074 -0.013 0.054 -0.026 0.00
H -0.306 -1.766 5.545 0.002 -0.009 -0.008 0.00
H -1.543 -2.842 3.703 0.019 0.000 0.038 0.00
H -1.848 -3.056 1.453 0.227 -0.111 -0.087 0.01
H 1.006 4.044 -2.073 -0.018 0.041 -0.048 0.00
H 1.702 4.432 -4.405 -0.029 -0.012 -0.009 0.00
H 2.626 2.580 -5.749 0.010 0.003 0.005 0.00
H 2.896 0.336 -4.749 0.004 0.008 -0.014 0.00
H 2.225 -0.055 -2.402 0.020 0.015 -0.125 0.00
H -1.334 2.978 0.337 -0.102 -0.042 0.088 0.00
H -1.833 5.228 1.246 0.003 -0.022 -0.008 0.00
H 0.006 6.804 1.693 0.036 0.005 -0.006 0.00
H 2.334 6.179 1.160 0.003 -0.013 0.000 0.00
H 2.840 3.951 0.242 -0.011 0.002 -0.036 0.00
C -6.229 -4.209 -4.672 0.026 -0.032 -0.056 0.00
C -5.403 -3.579 -3.593 0.036 0.044 0.059 0.00
C -5.810 -3.612 -2.260 0.025 0.022 -0.081 0.00
C -5.058 -2.999 -1.273 -0.002 0.066 0.108 0.00
C -3.881 -2.353 -1.629 0.066 0.008 0.274 0.01
C -3.431 -2.332 -2.945 0.015 0.017 -0.035 0.00
C -4.202 -2.938 -3.917 -0.063 -0.010 0.033 0.00
S -2.925 -1.607 -0.361 -0.238 -1.183 -0.128 0.02
O -3.293 -2.217 0.913 0.032 -0.099 -0.161 0.01
O -3.096 -0.148 -0.391 -0.039 -0.071 -0.074 0.04
N -1.378 -1.872 -0.700 -0.466 0.456 0.654 0.13
C -0.700 -2.947 -0.183 -0.278 -0.395 -0.626 0.23
C 0.010 -3.824 -0.964 -0.029 0.118 0.248 -0.01
C 0.568 -4.998 -0.463 0.164 0.060 -0.197 0.31
C 0.287 -5.362 0.872 -0.071 0.080 0.141 0.02
C -0.407 -4.555 1.690 0.058 -0.424 0.007 0.20
N -0.815 -3.204 1.277 -0.533 0.359 -0.071 0.05
H -7.077 -4.753 -4.265 -0.009 0.004 -0.010 0.00
H -5.627 -4.898 -5.267 -0.014 -0.015 0.013 0.00
H -6.603 -3.444 -5.354 -0.035 -0.012 0.011 0.00
H -6.722 -4.128 -1.992 -0.017 0.022 -0.003 0.00

• To do:
Repeat all of the calculation results further up unchanged.

• Reply:
Entry 1:
Below is C50H51N6O2P2PdS5 as an isolated structure, with properties calculated with wB97M-V/def2-TZVPD.

Geometry as XYZ:
```
117
Properties=species:S:1:pos:R:3:forces:R:3:lowdin_spin:R:1
Pd -0.818 0.209 0.050 0.848 0.205 -1.051 1.05
C 8.150 2.531 1.999 -0.109 0.325 0.117 0.09
S 6.500 3.189 1.814 0.115 -0.459 -0.287 0.74
C 5.733 2.035 0.646 0.113 0.005 0.285 0.07
C 4.376 1.531 1.163 -0.118 0.056 0.068 0.03
C 3.629 0.829 0.017 0.109 0.132 0.205 0.01
N 2.204 0.605 0.293 -0.127 -0.241 -0.373 0.05
P 1.469 -1.004 0.148 0.027 0.318 1.503 0.22
C 2.827 -2.212 -0.062 -0.280 0.168 -0.539 0.07
C 3.129 -2.616 -1.365 0.071 0.087 0.013 0.01
C 4.060 -3.618 -1.586 0.024 -0.039 -0.081 0.00
C 4.692 -4.225 -0.509 0.002 0.021 0.028 0.01
C 4.393 -3.827 0.787 0.033 0.000 0.027 0.00
C 3.454 -2.833 1.018 0.031 -0.007 -0.021 0.01
C 0.967 -1.444 1.878 -0.117 -0.275 -0.258 0.01
C 1.686 -0.918 2.951 -0.193 0.004 -0.058 0.00
C 1.269 -1.066 4.262 0.036 0.001 0.061 0.00
C 0.069 -1.701 4.533 -0.013 0.058 0.079 0.00
C -0.629 -2.294 3.498 -0.082 -0.064 -0.167 0.00
C -0.151 -2.231 2.198 0.324 0.259 0.343 0.03
P 0.969 1.625 -0.421 0.268 0.853 0.186 0.10
C 1.590 1.973 -2.081 -0.003 -0.092 -0.022 0.01
C 1.427 3.235 -2.651 0.065 -0.148 0.045 0.01
C 1.811 3.448 -3.968 0.007 0.020 -0.062 0.00
C 2.337 2.410 -4.721 -0.017 0.038 -0.014 0.01
C 2.492 1.147 -4.159 0.030 -0.108 0.025 0.00
C 2.117 0.929 -2.847 0.026 0.148 0.128 0.01
C 0.788 3.289 0.296 -0.046 -0.318 0.016 0.02
C -0.533 3.675 0.540 0.238 -0.076 0.083 0.00
C -0.811 4.936 1.044 0.011 0.086 -0.009 0.00
C 0.226 5.824 1.292 -0.130 -0.009 -0.010 0.00
C 1.536 5.465 1.002 0.130 0.023 0.018 0.00
C 1.817 4.207 0.497 0.062 -0.072 0.066 0.00
H 8.703 3.211 2.645 -0.012 -0.020 0.011 0.00
H 8.628 2.465 1.019 -0.061 -0.052 -0.045 0.02
H 8.081 1.541 2.457 -0.024 -0.038 -0.046 0.02
H 6.436 1.221 0.474 0.029 0.028 -0.080 0.00
H 5.602 2.595 -0.287 0.049 0.097 0.023 0.02
H 3.778 2.370 1.530 0.003 -0.024 -0.011 0.00
H 4.540 0.841 1.994 -0.047 0.044 0.041 0.00
H 4.106 -0.132 -0.182 0.024 0.032 -0.067 0.00
H 3.729 1.438 -0.887 -0.024 -0.050 -0.015 0.00
H 2.620 -2.155 -2.203 0.013 -0.085 -0.021 0.00
H 4.283 -3.941 -2.595 -0.006 0.031 -0.002 0.00
H 5.410 -5.015 -0.681 0.003 0.003 0.008 0.00
H 4.882 -4.300 1.629 -0.004 -0.030 -0.021 0.00
H 3.206 -2.564 2.035 0.040 -0.061 -0.042 0.00
H 2.595 -0.372 2.738 0.016 0.087 0.018 0.00
H 1.866 -0.671 5.074 -0.013 0.054 -0.026 0.00
H -0.306 -1.766 5.545 0.002 -0.009 -0.008 0.00
H -1.543 -2.842 3.703 0.019 0.000 0.038 0.00
H -1.848 -3.056 1.453 0.227 -0.111 -0.087 0.01
H 1.006 4.044 -2.073 -0.018 0.041 -0.048 0.00
H 1.702 4.432 -4.405 -0.029 -0.012 -0.009 0.00
H 2.626 2.580 -5.749 0.010 0.003 0.005 0.00
H 2.896 0.336 -4.749 0.004 0.008 -0.014 0.00
H 2.225 -0.055 -2.402 0.020 0.015 -0.125 0.00
H -1.334 2.978 0.337 -0.102 -0.042 0.088 0.00
H -1.833 5.228 1.246 0.003 -0.022 -0.008 0.00
H 0.006 6.804 1.693 0.036 0.005 -0.006 0.00
H 2.334 6.179 1.160 0.003 -0.013 0.000 0.00
H 2.840 3.951 0.242 -0.011 0.002 -0.036 0.00
C -6.229 -4.209 -4.672 0.026 -0.032 -0.056 0.00
C -5.403 -3.579 -3.593 0.036 0.044 0.059 0.00
C -5.810 -3.612 -2.260 0.025 0.022 -0.081 0.00
C -5.058 -2.999 -1.273 -0.002 0.066 0.108 0.00
C -3.881 -2.353 -1.629 0.066 0.008 0.274 0.01
C -3.431 -2.332 -2.945 0.015 0.017 -0.035 0.00
C -4.202 -2.938 -3.917 -0.063 -0.010 0.033 0.00
S -2.925 -1.607 -0.361 -0.238 -1.183 -0.128 0.02
O -3.293 -2.217 0.913 0.032 -0.099 -0.161 0.01
O -3.096 -0.148 -0.391 -0.039 -0.071 -0.074 0.04
N -1.378 -1.872 -0.700 -0.466 0.456 0.654 0.13
C -0.700 -2.947 -0.183 -0.278 -0.395 -0.626 0.23
C 0.010 -3.824 -0.964 -0.029 0.118 0.248 -0.01
C 0.568 -4.998 -0.463 0.164 0.060 -0.197 0.31
C 0.287 -5.362 0.872 -0.071 0.080 0.141 0.02
C -0.407 -4.555 1.690 0.058 -0.424 0.007 0.20
N -0.815 -3.204 1.277 -0.533 0.359 -0.071 0.05
H -7.077 -4.753 -4.265 -0.009 0.004 -0.010 0.00
H -5.627 -4.898 -5.267 -0.014 -0.015 0.013 0.00
H -6.603 -3.444 -5.354 -0.035 -0.012 0.011 0.00
H -6.722 -4.128 -1.992 -0.017 0.022 -0.003 0.00